ESEA Federal Program Spending Snapshot
All federally-funded program costs must be:
(1) Reasonable: consistent with prudent business practice and comparable current market value;
(2) Necessary: required to carry out the intent and purpose of the Title I, Part A program; and
(3) Allocable: chargeable or assignable in accordance with relative benefits received.
In addition, costs must be aligned with generally accepted accounting principles (GAAP) and adequately documented and budgeted within the grant.
TARGETED ASSISTANCE: Title I, Part A funds may only be used to meet the needs of children identified as being in the greatest need of services. Students must be selected using multiple, educationally related objective criteria. All costs must be supplemental and limited to services for eligible students in a targeted assistance program.
SCHOOLWIDE: Title I, Part A funds may can be used to upgrade the entire educational program in a school so all students may benefit. Activities must be a part of the approved schoolwide plan (school level Comprehensive Needs Assessments [CNA]/School Administrative Unit [SAU] Consolidated Plan) and support an identified academic need through the school’s CNA.
Supplemental services may be used in the following ways:
- to support low-achieving students by encouraging them to take advanced courses
- to enroll low-achieving students in preschool enrichment programs
- to develop and implement programs that are designed to improve outcomes for students with disabilities
- to develop and implement programs that are designed to improve outcomes for English learners.
- Homeless: Local educational agencies (LEAs) that receive Title I, Part A funds must reserve funds for services for homeless students. LEAs should conduct a needs assessment to determine the reserve amount and clearly show these funds in the Title I budget.
- Parent and Family Engagement: LEAs with Title I allocations greater than $500,000 must reserve an amount equal to 1% of the Title I, Part A allocation and allocate 90% of those funds to Title I schools for parent and family engagement activities. These funds must be clearly identified in the Title I budget.
- District Administration: These are costs for administering the program for public and private schoolchildren (limited to 4% of the grant).
- Direct Costs Salary Differentials: These include salary and benefit differentials above the base salary.
- Additional Supports and Instruction (ATSI; Tier I) and Targeted Supports and Instruction (TSI;Tier II) Schools (previously known as Focus Schools) -- Up to 10% of the LEA’s Title I allocation may be set aside for this purpose.
- Comprehensive Supports and Instruction (CSI; Tier III): (previously known as Priority Schools) -- Up to 20% of the LEA’s Title I allocation may be set aside for this purpose.
- Professional Development (districtwide): -- Only instructors working with Title I students may participate. In schoolwide buildings, that would be all instructors/staff in the school. In targeted buildings, that would include
sinstructors and staff working with targeted students. In no instance should a school that is not being served by Title I funds benefit from professional development paid for by Title I funds. - Early Childhood Programs (districtwide): – This include costs for operating a preschool.
- Summer School (districtwide): – The programs and intersession programs are for students who attend Title I participating school attendance areas.
SUPPLEMENT vs. SUPPLANT: Title I funds must be used to supplement (increase the level of services) and not supplant (replace) funds from nonfederal sources. State or local funds may not be decreased or diverted for other uses merely because of the availability of these funds. District and school personnel must maintain documentation that clearly demonstrates the supplementary nature of these funds (i.e., budget development documentation). The federal supplement, not supplant, provision is intended to ensure that services provided under Title I, Part A are in addition to, and not in place of, local funds if Title I funds were not available.
In determining whether a particular use of funds would violate the non-supplanting requirement, SEAs and LEAs should consider matters such as whether the cost involved is currently paid for using State or local funds or whether the cost involved is for an activity that is required by State or local law. The SEA or LEA may not decrease the amount of State or local funds used to pay the cost of an activity simply because of the availability of Title I funds.
Below is a general overview of allowable and unallowable expenditures under Title I, Part A.
Note: Targeted assistance and schoolwide guidelines may differ. Schoolwide programs must only use grant funding for programming outlined in the schoolwide plan (school level CNA/SAU Consolidated Plan). Targeted schools must have a plan for specific activities to address the needs of the targeted population.
Title-Specific Expenditures
Academic Support for At Risk Students:
Allowable Uses of Grant Funds |
Unallowable Uses of Grant Funds |
[Data records, kept here for reference]
┌──
First-principles (PBE-GGA) data for HgMo3 after structural relaxation, as listed in Alexandria via LeMat-Bulk.

Structure (extended XYZ):
```
8
Lattice="5.115 0.000 0.000 0.000 5.115 0.000 0.000 0.000 5.115" Properties=species:S:1:pos:R:3 pbc="T T T"
Hg 0.000 0.000 0.000
Hg 2.557 2.557 2.557
Mo 0.000 1.279 2.557
Mo 0.000 3.836 2.557
Mo 1.279 2.557 0.000
Mo 2.557 0.000 1.279
Mo 2.557 0.000 3.836
Mo 3.836 2.557 0.000
```

Computed properties:
Density = 12.1 Mg/m³
Crystal system = cubic
Calculated total energy = -62.54 eV per cell



First-principles (PBE-GGA) data for MgSb6Ru after structural relaxation, as listed in Alexandria via LeMat-Bulk.

Structure (extended XYZ):
```
16
Lattice="6.800 -4.714 0.000 6.800 4.714 0.000 -6.771 0.000 7.127" Properties=species:S:1:pos:R:3 pbc="T T T"
Mg 3.400 2.357 0.000
Mg 3.400 -2.357 0.000
Sb 2.308 3.220 2.598
Sb 0.885 3.255 5.916
Sb 5.944 3.255 1.211
Sb 4.521 3.220 4.529
Sb 1.201 0.000 3.738
Sb 3.285 0.000 1.665
Sb 3.544 0.000 5.463
Sb 5.628 0.000 3.389
Sb 2.308 -3.220 2.598
Sb 0.885 -3.255 5.916
Sb 5.944 -3.255 1.211
Sb 4.521 -3.220 4.529
Ru 0.015 2.357 3.564
Ru 0.015 -2.357 3.564
```

Computed properties:
Density = 6.2 Mg/m³
Crystal system = monoclinic
Energy relative to the elements, uncorrected = -1.64 kcal/mol of atoms



First-principles (PBE-GGA) data for Cr7Ni6Rh16 after structural relaxation, as listed in Alexandria via LeMat-Bulk.

Structure (extended XYZ):
```
29
Lattice="0.000 5.832 5.832 5.832 0.000 5.832 5.832 5.832 0.000" Properties=species:S:1:pos:R:3 pbc="T T T"
Cr 0.000 0.000 0.000
Cr 2.916 2.916 0.000
Cr 2.916 0.000 2.916
Cr 5.832 2.916 2.916
Cr 0.000 2.916 2.916
Cr 2.916 5.832 2.916
Cr 2.916 2.916 5.832
Ni 5.832 5.832 2.716
Ni 5.832 2.716 5.832
Ni 8.947 5.832 5.832
Ni 2.716 5.832 5.832
Ni 5.832 8.947 5.832
Ni 5.832 5.832 8.947
Rh 7.233 4.430 4.430
Rh 1.641 1.641 1.641
Rh 4.191 4.191 1.641
Rh 4.191 1.641 4.191
Rh 4.430 4.430 4.430
Rh 7.233 7.233 4.430
Rh 7.233 4.430 7.233
Rh 10.022 7.472 7.472
Rh 1.641 4.191 4.191
Rh 4.430 7.233 4.430
Rh 4.430 4.430 7.233
Rh 7.233 7.233 7.233
Rh 7.472 10.022 7.472
Rh 7.472 7.472 10.022
Rh 10.022 10.022 10.022
Rh 4.430 7.233 7.233
```

Computed properties:
Density = 9.9 Mg/m³
Crystal system = cubic
Calculated total energy = -215.32 eV per cell



First-principles (PBE-GGA) data for Y2BeFe after structural relaxation, as listed in Alexandria via LeMat-Bulk.

Structure (extended XYZ):
```
4
Lattice="0.000 3.348 3.348 3.348 0.000 3.348 3.348 3.348 0.000" Properties=species:S:1:pos:R:3 pbc="T T T"
Y 0.000 0.000 0.000
Y 1.674 1.674 1.674
Be 3.348 3.348 3.348
Fe 5.022 5.022 5.022
```

Computed properties:
Density = 5.4 Mg/m³
Crystal system = cubic
Calculated total energy = -23.40 eV per cell



First-principles (PBE-GGA) data for Cs4CuSi2O7 after structural relaxation, as listed in Alexandria via LeMat-Bulk.

Structure (extended XYZ):
```
14
Lattice="6.619 0.000 0.000 -2.533 7.155 0.000 -2.646 -3.203 6.384" Properties=species:S:1:pos:R:3 pbc="T T T"
└──
Parent and Family Engagement:
Allowable Uses of Grant Funds |
Unallowable Uses of Grant Funds |
Materials, Supplies, and Equipment:
Allowable Uses of Grant Funds |
Unallowable Uses of Grant Funds |
Professional Development:
Allowable Uses of Grant Funds |
Unallowable Uses of Grant Funds |
Allowable Uses of Grant Funds |
Unallowable Uses of Grant Funds |